**To do**
Could you reproduce the contents further down with every line break kept?

**Material**
+++
1.
DFT (meta-GGA SCAN) results for a crystal of KBaSr2 relaxed with PBEsol.

Properties
calculated formation energy: 0.081 eV/atom
calculated volume: 228.5 Å³ per cell
ΔE to the lowest computed polymorph: 0.0262 eV per atom
magnetization: 0.25 μB/cell

```
data_KBaSr2
_cell_length_a 4.173
_cell_length_b 6.880
_cell_length_c 8.070
_cell_angle_alpha 90.00
_cell_angle_beta 99.55
_cell_angle_gamma 90.00
_space_group_name_H-M_alt 'P 1 m 1'
_space_group_IT_number 6
_space_group_name_Hall 'P -2y'
loop_
_atom_site_label
_atom_site_type_symbol
_atom_site_fract_x
_atom_site_fract_y
_atom_site_fract_z
K1 K 0.000 0.000 0.000
Ba1 Ba 0.243 0.500 0.743
Sr1 Sr 0.514 0.000 0.495
Sr2 Sr 0.783 0.500 0.257
```


2.
DFT (meta-GGA SCAN) results for a crystal of KBaSr2 relaxed with PBEsol.

Properties
calculated formation energy: 0.096 eV/atom
calculated volume: 457.9 Å³ per cell
ΔE to the lowest computed polymorph: 0.0406 eV per atom
magnetization: 0.49 μB/cell

```
data_KBaSr2
_cell_length_a 4.618
_cell_length_b 7.049
_cell_length_c 14.065
_cell_angle_alpha 90.00
_cell_angle_beta 90.00
_cell_angle_gamma 90.00
_space_group_name_H-M_alt 'I m m 2'
_space_group_IT_number 44
_space_group_name_Hall 'I 2 -2'
loop_
_atom_site_label
_atom_site_type_symbol
_atom_site_fract_x
_atom_site_fract_y
_atom_site_fract_z
K1 K 0.000 0.000 0.000
Ba1 Ba 0.000 0.500 0.249
Sr1 Sr 0.000 0.000 0.491
Sr2 Sr 0.000 0.500 0.743
```


3.
DFT (meta-GGA SCAN) results for a crystal of KBaSr2 relaxed with PBEsol.

Properties
calculated formation energy: 0.060 eV/atom
calculated volume: 454.2 Å³ per cell
ΔE to the lowest computed polymorph: 0.0044 eV per atom
magnetization: 0.25 μB/cell

```
data_KBaSr2
_cell_length_a 4.743
_cell_length_b 6.819
_cell_length_c 14.044
_cell_angle_alpha 90.00
_cell_angle_beta 90.00
_cell_angle_gamma 90.00
_space_group_name_H-M_alt 'C m m m'
_space_group_IT_number 65
_space_group_name_Hall '-C 2 2'
loop_
_atom_site_label
_atom_site_type_symbol
_atom_site_fract_x
_atom_site_fract_y
_atom_site_fract_z
K1 K 0.000 0.000 0.000
Ba1 Ba 0.000 0.000 0.500
Sr1 Sr 0.000 0.500 0.260
```

* * * * *

# GGA-PBE VInOs2Se, relaxed
# magnetic moment = 1.203 μB per formula unit
# formation energy without anion corrections = 7.529 eV per formula unit
# DFT total energy = -6.0544 eV per atom
data_VInOs2Se
_chemical_formula_sum 'V1 In1 Os2 Se1'
_symmetry_space_group_name_H-M 'P 4/m m m'
_symmetry_Int_Tables_number 123
_symmetry_space_group_name_Hall '-P 4 2'
_cell_length_a 4.542
_cell_length_b 4.542
_cell_length_c 5.071
_cell_angle_alpha 90.00
_cell_angle_beta 90.00
_cell_angle_gamma 90.00
loop_
_atom_site_label
_atom_site_type_symbol
_atom_site_fract_x
_atom_site_fract_y
_atom_site_fract_z
_atom_site_occupancy
V1 V 0.000 0.000 0.000 1
In1 In 0.000 0.000 0.500 1
Os1 Os 0.000 0.500 0.000 1
Se1 Se 0.500 0.500 0.500 1

* * * * *

No. 1
PBE Li2MnHgCl6, relaxed; symmetry = No. 146; uncorrected formation energy = -1.195 eV per atom; VASP energy = -3.63 eV per atom
1.0
3.2580 1.8810 5.9436
-3.2580 1.8810 5.9436
0.0000 -3.7621 5.9436
Li Mn Hg Cl
2 1 1 6
Direct
0.0000 0.0000 0.0000 Li
0.4895 0.4895 0.4895 Li
0.6888 0.6888 0.6888 Mn
0.1970 0.1970 0.1970 Hg
0.0839 0.7695 0.4126 Cl
0.2815 0.6134 0.8850 Cl
0.4126 0.0839 0.7695 Cl
0.6134 0.8850 0.2815 Cl
0.7695 0.4126 0.0839 Cl
0.8850 0.2815 0.6134 Cl

---

No. 2
PBE LiMnHgCl6, relaxed; symmetry = No. 102; uncorrected formation energy = -0.987 eV per atom; VASP energy = -3.48 eV per atom
1.0
6.5028 0.0000 0.0000
0.0000 6.5028 0.0000
0.0000 0.0000 10.8415
Li Mn Hg Cl
2 2 2 12
Direct
0.0000 0.0000 0.0000 Li
0.5000 0.5000 0.5000 Li
0.0000 0.0000 0.6684 Mn
0.5000 0.5000 0.1684 Mn
0.0000 0.0000 0.3170 Hg
0.5000 0.5000 0.8170 Hg
0.1705 0.1705 0.8190 Cl
0.1748 0.1748 0.5160 Cl
0.1993 0.1993 0.1538 Cl
0.3007 0.6993 0.6538 Cl
0.3252 0.6748 0.0160 Cl
0.3295 0.6705 0.3190 Cl
0.6705 0.3295 0.3190 Cl
0.6748 0.3252 0.0160 Cl
0.6993 0.3007 0.6538 Cl
0.8007 0.8007 0.1538 Cl
0.8252 0.8252 0.5160 Cl
0.8295 0.8295 0.8190 Cl

---

No. 3
+++

**Completed**
1.
DFT (meta-GGA SCAN) results for a crystal of KBaSr2 relaxed with PBEsol.

Properties
calculated formation energy: 0.081 eV/atom
calculated volume: 228.5 Å³ per cell
ΔE to the lowest computed polymorph: 0.0262 eV per atom
magnetization: 0.25 μB/cell

```
data_KBaSr2
_cell_length_a 4.173
_cell_length_b 6.880
_cell_length_c 8.070
_cell_angle_alpha 90.00
_cell_angle_beta 99.55
_cell_angle_gamma 90.00
_space_group_name_H-M_alt 'P 1 m 1'
_space_group_IT_number 6
_space_group_name_Hall 'P -2y'
loop_
_atom_site_label
_atom_site_type_symbol
_atom_site_fract_x
_atom_site_fract_y
_atom_site_fract_z
K1 K 0.000 0.000 0.000
Ba1 Ba 0.243 0.500 0.743
Sr1 Sr 0.514 0.000 0.495
Sr2 Sr 0.783 0.500 0.257
```


2.
DFT (meta-GGA SCAN) results for a crystal of KBaSr2 relaxed with PBEsol.

Properties
calculated formation energy: 0.096 eV/atom
calculated volume: 457.9 Å³ per cell
ΔE to the lowest computed polymorph: 0.0406 eV per atom
magnetization: 0.49 μB/cell

```
data_KBaSr2
_cell_length_a 4.618
_cell_length_b 7.049
_cell_length_c 14.065
_cell_angle_alpha 90.00
_cell_angle_beta 90.00
_cell_angle_gamma 90.00
_space_group_name_H-M_alt 'I m m 2'
_space_group_IT_number 44
_space_group_name_Hall 'I 2 -2'
loop_
_atom_site_label
_atom_site_type_symbol
_atom_site_fract_x
_atom_site_fract_y
_atom_site_fract_z
K1 K 0.000 0.000 0.000
Ba1 Ba 0.000 0.500 0.249
Sr1 Sr 0.000 0.000 0.491
Sr2 Sr 0.000 0.500 0.743
```


3.
DFT (meta-GGA SCAN) results for a crystal of KBaSr2 relaxed with PBEsol.

Properties
calculated formation energy: 0.060 eV/atom
calculated volume: 454.2 Å³ per cell
ΔE to the lowest computed polymorph: 0.0044 eV per atom
magnetization: 0.25 μB/cell

```
data_KBaSr2
_cell_length_a 4.743
_cell_length_b 6.819
_cell_length_c 14.044
_cell_angle_alpha 90.00
_cell_angle_beta 90.00
_cell_angle_gamma 90.00
_space_group_name_H-M_alt 'C m m m'
_space_group_IT_number 65
_space_group_name_Hall '-C 2 2'
loop_
_atom_site_label
_atom_site_type_symbol
_atom_site_fract_x
_atom_site_fract_y
_atom_site_fract_z
K1 K 0.000 0.000 0.000
Ba1 Ba 0.000 0.000 0.500
Sr1 Sr 0.000 0.500 0.260
```

* * * * *

# GGA-PBE VInOs2Se, relaxed
# magnetic moment = 1.203 μB per formula unit
# formation energy without anion corrections = 7.529 eV per formula unit
# DFT total energy = -6.0544 eV per atom
data_VInOs2Se
_chemical_formula_sum 'V1 In1 Os2 Se1'
_symmetry_space_group_name_H-M 'P 4/m m m'
_symmetry_Int_Tables_number 123
_symmetry_space_group_name_Hall '-P 4 2'
_cell_length_a 4.542
_cell_length_b 4.542
_cell_length_c 5.071
_cell_angle_alpha 90.00
_cell_angle_beta 90.00
_cell_angle_gamma 90.00
loop_
_atom_site_label
_atom_site_type_symbol
_atom_site_fract_x
_atom_site_fract_y
_atom_site_fract_z
_atom_site_occupancy
V1 V 0.000 0.000 0.000 1
In1 In 0.000 0.000 0.500 1
Os1 Os 0.000 0.500 0.000 1
Se1 Se 0.500 0.500 0.500 1

* * * * *

No. 1
PBE Li2MnHgCl6, relaxed; symmetry = No. 146; uncorrected formation energy = -1.195 eV per atom; VASP energy = -3.63 eV per atom
1.0
3.2580 1.8810 5.9436
-3.2580 1.8810 5.9436
0.0000 -3.7621 5.9436
Li Mn Hg Cl
2 1 1 6
Direct
0.0000 0.0000 0.0000 Li
0.4895 0.4895 0.4895 Li
0.6888 0.6888 0.6888 Mn
0.1970 0.1970 0.1970 Hg
0.0839 0.7695 0.4126 Cl
0.2815 0.6134 0.8850 Cl
0.4126 0.0839 0.7695 Cl
0.6134 0.8850 0.2815 Cl
0.7695 0.4126 0.0839 Cl
0.8850 0.2815 0.6134 Cl

---

No. 2
PBE LiMnHgCl6, relaxed; symmetry = No. 102; uncorrected formation energy = -0.987 eV per atom; VASP energy = -3.48 eV per atom
1.0
6.5028 0.0000 0.0000
0.0000 6.5028 0.0000
0.0000 0.0000 10.8415
Li Mn Hg Cl
2 2 2 12
Direct
0.0000 0.0000 0.0000 Li
0.5000 0.5000 0.5000 Li
0.0000 0.0000 0.6684 Mn
0.5000 0.5000 0.1684 Mn
0.0000 0.0000 0.3170 Hg
0.5000 0.5000 0.8170 Hg
0.1705 0.1705 0.8190 Cl
0.1748 0.1748 0.5160 Cl
0.1993 0.1993 0.1538 Cl
0.3007 0.6993 0.6538 Cl
0.3252 0.6748 0.0160 Cl
0.3295 0.6705 0.3190 Cl
0.6705 0.3295 0.3190 Cl
0.6748 0.3252 0.0160 Cl
0.6993 0.3007 0.6538 Cl
0.8007 0.8007 0.1538 Cl
0.8252 0.8252 0.5160 Cl
0.8295 0.8295 0.8190 Cl

---

No. 3